“There is only one way to defeat the enemy, and that is to write as well as one can. The best argument is an undeniably good book.” Saul Below, The Living Novel: A Symposium, 1957
I think no matter who you are, no matter how you grew up, every Christian writer struggles to say no to others.
Some may learn to say “no” readily. But many writers start out avoiding saying no to people at any cost. We’re avoiders and pleasers. We may say “yes” initially only to avoid the inevitable confrontation, then say “no” later by avoiding the situation.
What comes next are data records, not part of the page
┌──
Entry 1:
Computed, not measured: an isolated ion of composition C6H10N2O and charge +2, with ωB97M-V/def2-TZVPD.

Last column: Mulliken charge in e.
Atoms and positions in Å:
C1 1.97 0.25 -0.46  -0.19
C2 -0.07 -0.44 0.05  0.74
C3 -1.53 -0.38 -0.02  0.44
C4 0.87 -1.66 -0.16  -0.51
C5 -2.55 -0.32 1.02  -1.27
C6 0.44 2.03 -0.12  -0.77
N1 2.16 -1.02 -0.41  0.06
N2 0.75 0.63 -0.12  0.05
O1 -1.54 -0.39 -1.26  -0.33
H1 2.65 1.01 -0.86  0.42
H2 0.85 -2.49 0.68  0.37
H3 0.53 -2.36 -0.95  0.38
H4 -3.42 -0.92 0.82  0.39
H5 -3.08 0.56 1.02  0.45
H6 -2.13 -0.30 1.97  0.42
H7 -0.68 2.20 -0.07  0.31
H8 0.90 2.54 -1.02  0.37
H9 0.89 2.56 0.63  0.41
H10 2.98 -1.48 -0.75  0.27

Computed properties:
- maximum force (eV/A) = 3.8
- structure (SMILES) = CC(=O)C1=[N+](C)C=[NH+]C1
- relative energy (zero: lowest compared OMol25 entry of this formula, charge and spin) (kJ/mol) = 259.96
- HOMO-LUMO gap (hartree) = 0.3446
- net charge = +2


Entry 2:
Computed, not measured: C32H90F3O16Y as an isolated structure, with ωB97M-V/def2-TZVPD.

Last column: Mulliken charge in e.
Atoms and positions in Å:
Y1 -7.07 1.13 -3.92  1.12
C1 -0.98 -0.54 -0.91  0.18
O1 -1.55 -1.37 0.06  -0.19
O2 -2.09 0.10 -1.49  -0.33
C2 0.33 0.19 -0.36  0.74
F1 0.76 1.14 -1.18  -0.22
F2 0.10 0.92 0.80  -0.21
F3 1.36 -0.65 -0.33  -0.19
C3 -0.89 -2.63 0.35  -0.09
C4 -1.46 -3.20 1.67  -1.26
H1 -1.15 -2.60 2.53  0.34
H2 -2.55 -3.15 1.68  0.31
H3 -1.13 -4.23 1.76  0.39
H4 0.20 -2.61 0.40  0.34
H5 -1.18 -3.36 -0.40  0.30
H6 -0.50 -1.11 -1.71  0.36
C5 -2.16 3.29 -9.15  -0.87
C6 -2.98 2.08 -8.74  -0.32
O3 -4.13 2.55 -8.04  -0.52
H7 -1.33 2.94 -9.76  0.31
H8 -1.74 3.72 -8.24  0.24
H9 -2.76 4.05 -9.65  0.31
H10 -2.39 1.39 -8.14  0.26
H11 -3.31 1.49 -9.60  0.27
H12 -4.71 2.83 -8.75  0.31
C7 3.68 -5.95 -3.74  -1.00
C8 2.93 -7.24 -3.68  -0.15
O4 2.84 -7.72 -2.34  -0.51
H13 3.10 -5.06 -3.50  0.23
H14 4.15 -5.78 -4.71  0.33
H15 4.55 -5.95 -3.09  0.30
H16 3.36 -8.05 -4.27  0.29
H17 1.95 -7.06 -4.12  0.24
H18 2.23 -8.46 -2.35  0.30
C9 0.88 -11.86 5.29  -1.15
C10 0.75 -10.53 5.99  -0.07
O5 0.04 -10.78 7.23  -0.49
H19 1.36 -11.85 4.31  0.37
H20 -0.11 -12.31 5.18  0.30
H21 1.52 -12.56 5.83  0.29
H22 0.19 -9.97 5.25  0.22
H23 1.75 -10.09 6.02  0.27
H24 -0.20 -9.92 7.58  0.29
C11 -5.18 1.63 6.02  -0.97
C12 -4.87 2.22 4.66  -0.20
O6 -6.02 2.85 4.22  -0.52
H25 -5.35 2.42 6.76  0.30
H26 -4.36 1.00 6.36  0.32
H27 -6.06 0.98 6.02  0.28
H28 -4.47 1.46 3.99  0.27
H29 -4.16 3.03 4.84  0.23
H30 -6.11 3.68 4.70  0.34
C13 3.17 8.13 -6.38  -1.07
C14 4.61 8.69 -6.33  -0.15
O7 5.08 8.92 -7.64  -0.50
H31 2.85 7.91 -5.36  0.34
H32 3.11 7.24 -7.01  0.29
H33 2.42 8.84 -6.73  0.30
H34 5.23 7.98 -5.79  0.27
H35 4.52 9.61 -5.75  0.24
H36 6.03 9.03 -7.57  0.31
C15 -7.98 -4.27 0.90  -0.91
C16 -7.84 -2.79 1.18  -0.25
O8 -7.22 -2.09 0.15  -0.48
H37 -8.44 -4.88 1.69  0.33
H38 -7.03 -4.79 0.81  0.28
H39 -8.50 -4.39 -0.05  0.25
H40 -7.29 -2.53 2.09  0.29
H41 -8.84 -2.38 1.28  0.23
H42 -6.27 -2.16 0.30  0.27
C17 4.98 0.43 5.18  -1.01
└──
I’ve done it regularly. Habitually. And I’ve seen it done for years.
But everyone who writes has a unique call and so must rise above this.
And in my experience with Christians, we rarely, if ever, acknowledge the essential importance of saying no.
Oh, we say no to sin. And to anything deemed “questionable” or unsafe. But to other Christians? To the church or (God forbid) the leadership? That might not reflect well on our presumed holiness.
Churches don’t give out gold stars for saying no.
People who don’t go to church can get away with it. Some may have first found permission by leaving. Yet how many are saying no to the wrong things or in unloving ways?
The point is, we need to learn how to say “no” well, and our model human opposed both the typical Christian and the disengaged and hardened folks alike.
He said a lot of loving no’s to people. And often.
He said no—in love—to strangers, friends, crowds, the disciples and Pharisees—in other words, to everyone.
Why is this so important? Because unless you can say no in love, even well-meaning Christians can create barriers between you and God’s will.
Saying yes means nothing unless you can also say no. Only “no” can correct and refocus people when they’ve gotten off track. Only “no” can move the attention away from its wrong focus. And only a loving heart can use no to affirm the goodness and love inside the opposition.
Unfortunately, “no” seems so ignored among Christians today that most can’t handle the slightest hint or whisper of it. Now we have to treat adults as children and instead of “no,” offer a firm “thank you for understanding why I can’t serve at that event,” or “God bless your commitment. I’m already giving elsewhere. I appreciate your graciousness.”
If only that was acceptable.
Years ago, I set out to help Christian writers say “no” to the forces that opposed their higher purpose. I thought I’d be fighting the godless consumer culture. Instead, I’ve found the greatest opposition can come not from culture but from the church.
If you’ve had trouble saying no, you’re not alone. And you need to get alone to yourself for at least 30 minutes. Take a notebook and pen and go imagine your future 10 years from now if you can commit to the vision God put in your heart for you to write. Write down what you see.
Imagine it and then believe that one day soon, that will be you, successful.
That is who you are going to be.
Circumstances do not dictate this. People do not dictate you.
God is vision-caster, the Great Imaginer, and when He gives his called artists a vision, He’s saying that one day, it will be your day. But if you never commit to it, and especially to saying “no” to the ungodly demands, expectations, unspoken rules and implicit requirements placed on you by a restrictive church or family or culture, it will never be your day.
We can’t sacrifice our God-given vision for a person or an image or a church. We must use our gifts for the Person and His image and the Church at large.
If you’ve failed to say no in the past, repent and move forward. Claim your gifted strength and know that every failure along the way is one less you have to make now.
Mistakes are necessary; they’re how we learn to value what we eventually gain.
But we’ll never get to where He’s called us to go without imagination and belief.
If you will go and write the vision, you will see where you will be. And you will know you can not quit.
You have to go get it.
So decide to believe. And He goes with you. And there is no fear because fear is not real. Fear is choosing to respect doubts as greater than the future reality. It’s believing things that are not or may never be true are true. That’s insanity. Fear is a choice; we can chose not to fear.
You can simply choose instead to believe the real vision. Choose it and own it.
As Tozer said, there is blessedness in possessing nothing. Yet a vision is a pure gift, and possibly for artists, our primary possession. You can have this vision if you have focus. And you will have it if you don’t quit.
But the first step before anyone else will believe this vision is you believing it.
So all that matters is, can you say “no” to say “yes” to your vision?
If you’re ready to jump, the 30-Day Story Course starts Friday. Four lessons, four evaluations by me. $500 $99
Any group I’m in, I volunteer. I’m a hard worker and love to serve. I joked to my mom yesterday that once I’ve proven I can run the world, people expect me to. :) I’m learning how to say NO and how to recognize and nurture gift to place people where there’s a need.
You are so right, Christians don’t understand all the time. I thought when I learned to set boundaries around my time and talents, people would support that, especially those that know I tend to overextend. It doesn’t always work that way. I liked the gracious answers you supplied.
Mindy, I know you get it. The psychology of the habitual “yes” is such a trap. We get affirmed for it. We feel good being “responsible.” And who will do it *right* if not us?
Maybe we need to look in the mirror and realize we’re opposing God’s work by enabling a bunch of people to avoid finding their place, their contribution, by avoiding our own. I’ve found I’m willing to overextend because it’s easier than facing the blank page–it’s another way for me to procrastinate and feel like God is happy with me anyway…
It’s a problem. But it’s not unsolvable. Balance. Balance.
Thanks so much for the comment, Mindy. God go with you this week!
Heck yes, I can say “no!” I’m working on my attitude with the ‘out of love’ part.
A recent example…back in September, a newbie writer fiend asked me to work through her first story with her. And pay me a small amount. We needed the money, I love helping willing people grow in their development so naturally I agreed. Then in February book two was ready. I agreed again, but with some hesitancy. Mick, I’m a broken record, but how in the world you can work on so many flipping stories at one time is beyond me! I was creatively drained and my story was pushed to the side for 6 months.
She called last week asking about book three, a shorter, novella type thing. I said ‘no’. With all that’s going on in life, there is now way I can commit. What’s super God neato is that in late March the conviction to finish my current WIP before I’m due in August was something fierce. I surrendered to the call and fully committed to finish the story this summer. Guess what? God has blown my mind with how well and progressive the editing is going! Having that 6 month break clearly showed me more that my character’s motivation was weak in the beginning (a big no no) among other plot and pacing elements.
So I’m thrilled to say ‘no’ I cannot help chair the school’s Spaghetti Dinner Fundraiser, but I will buy 4 meals, and ‘no’ I cannot help an extra day in class, but I will bake an extra 2 dozen cookies for the bake sale.
Freedom people, FREEDOM!
Zounds. You’ve got this mastered, Jenelle! Way to go! I’ll be taking lessons from you on this…
“zounds” me oh my, that is a WONDERFUL word. i plan to say yes to stealing that word and using it in the very near future.
i read something in a book the other day that suggested focusing on god in the same way a ballerina finds a spot to look at during every spin or turn so as not to lose balance, fall down and go boom.
this seems like a good idea to use for looking at your vision during the days filled with circumstances vying to replace your REAL vision and causing you to topple off balance.
gotta be crazy to be a believer. that’s why HE said we need each other so badly.
suzee B crazee
Recently, in our church, I was asked to work on three different fronts. I easily said “no” to each one. Perhaps it’s my age (69) and the memories of other projects I joined in and completed. Nevertheless, God has placed what he wants me to do on my heart, and I need to do that first and foremost. Something else may come along at church that may co-exist with God’s plans for me, and to that I’ll say “yes.” Until then, zounds I’ve got it!